Plants that Attract Good Fortune and Money Like Magnets

Since time immemorial, cultures across the globe have attributed special significance to certain plants when it comes to channelling positive energy and inviting financial abundance. These botanical allies are believed to possess energies that align with the vibrations of prosperity and success. The symbolism attached to these plants transcends borders and generations, echoing a common desire for thriving lives. Let's delve into a few of these remarkable plants that have a reputation for drawing good fortune and money into our realms.

plants that attract good fortune & money

Lucky Bamboo (Dracaena Sanderiana)

Inserted here: materials data =
- - -
(1)
Material: ZnS
Method: DFT, r²SCAN
State: relaxed

Structure (CIF):
```
data_ZnS
_symmetry_space_group_name_H-M 'P 1'
_symmetry_Int_Tables_number 1
_symmetry_space_group_name_Hall 'P 1'
_cell_length_a 3.810
_cell_length_b 3.810
_cell_length_c 62.268
_cell_angle_alpha 90.00
_cell_angle_beta 90.00
_cell_angle_gamma 120.00
loop_
_atom_site_label
_atom_site_type_symbol
_atom_site_fract_x
_atom_site_fract_y
_atom_site_fract_z
Zn1 Zn 0.333 0.667 0.950
Zn2 Zn 0.000 0.000 0.150
Zn3 Zn 0.667 0.333 0.400
Zn4 Zn 0.667 0.333 0.900
Zn5 Zn 0.000 0.000 0.850
Zn6 Zn 0.667 0.333 0.700
Zn7 Zn 0.667 0.333 0.100
Zn8 Zn 0.667 0.333 0.550
Zn9 Zn 0.000 0.000 0.650
Zn10 Zn 0.333 0.667 0.050
Zn11 Zn 0.000 0.000 0.000
Zn12 Zn 0.000 0.000 0.450
Zn13 Zn 0.333 0.667 0.200
Zn14 Zn 0.333 0.667 0.300
Zn15 Zn 0.333 0.667 0.500
Zn16 Zn 0.000 0.000 0.350
Zn17 Zn 0.667 0.333 0.250
Zn18 Zn 0.333 0.667 0.600
Zn19 Zn 0.667 0.333 0.800
Zn20 Zn 0.333 0.667 0.750
S1 S 0.667 0.333 0.588
S2 S 0.667 0.333 0.138
S3 S 0.333 0.667 0.638
S4 S 0.667 0.333 0.838
S5 S 0.333 0.667 0.338
S6 S 0.333 0.667 0.987
S7 S 0.333 0.667 0.088
S8 S 0.333 0.667 0.237
S9 S 0.667 0.333 0.738
S10 S 0.667 0.333 0.937
S11 S 0.000 0.000 0.888
S12 S 0.667 0.333 0.437
S13 S 0.667 0.333 0.288
S14 S 0.000 0.000 0.487
S15 S 0.333 0.667 0.788
S16 S 0.000 0.000 0.387
S17 S 0.000 0.000 0.037
S18 S 0.000 0.000 0.188
S19 S 0.333 0.667 0.537
S20 S 0.000 0.000 0.688
```

Calculated volume, Å³ per atom: 19.6
Formation enthalpy at 0 K, eV/f.u.: -1.924
Theoretical density, g/cm3: 4.1
SG: P3m1

(2)
Material: ZnS
Method: DFT, r²SCAN
State: relaxed

Structure (CIF):
```
data_ZnS
_symmetry_space_group_name_H-M 'P 1'
_symmetry_Int_Tables_number 1
_symmetry_space_group_name_Hall 'P 1'
_cell_length_a 3.808
_cell_length_b 3.808
_cell_length_c 74.695
_cell_angle_alpha 90.00
_cell_angle_beta 90.00
_cell_angle_gamma 120.00
loop_
_atom_site_label
_atom_site_type_symbol
_atom_site_fract_x
_atom_site_fract_y
_atom_site_fract_z
Zn1 Zn 0.000 0.000 0.333
Zn2 Zn 0.333 0.667 0.667
Zn3 Zn 0.333 0.667 0.292
Zn4 Zn 0.667 0.333 0.083
Zn5 Zn 0.000 0.000 0.583
Zn6 Zn 0.000 0.000 0.708
Zn7 Zn 0.667 0.333 0.500
Zn8 Zn 0.667 0.333 0.917
Zn9 Zn 0.667 0.333 0.208
- - -
The materials data stop here =

Originating from East Asia, Lucky Bamboo isn't just an ornamental wonder but a harbinger of positive energy. Traditionally grown in water, this plant is often associated with the principles of Feng Shui. Its vibrant green stalks, often intertwined and shaped in diverse forms, symbolise growth, resilience and the flow of positive Qi energy. The more stalks it has, the greater the potential for prosperity it is believed to bring.

Money Tree (Pachira Aquatica)

With its distinctive braided trunk and lush, hand-shaped leaves, the Money Tree is a popular symbol of fortune across multiple cultures. Native to Central and South America, this plant is believed to attract wealth and success. Some traditions even prescribe placing coins on its soil to enhance its energy of abundance.

Jade Plant (Crassula Ovata)

_Unrelated to this article: materials data_
=====
[1]
Crystalline GdSi2 at its relaxed geometry. Source: the Materials Project database, functional PBE.

a b c (Å): 7.721 7.721 7.721
angles (deg): 149.66 149.66 43.45
Fractional positions:
Gd  0.375  0.625  0.750
Gd  0.625  0.375  0.250
Si  0.042  0.792  0.250
Si  0.208  0.958  0.250
Si  0.792  0.042  0.750
Si  0.958  0.208  0.750

Values from the calculation:
The value obtained for the energy with MP2020 corrections is -8.85 eV/atom. Its electronic total energy is -8.901 eV/atom. As for the symmetry: I4_1/amd (141). For the energy of formation, the calculation gives -0.54 eV per atom.

=====

[2]
Crystalline Gd2Si3 at its relaxed geometry. Source: the Materials Project database, functional PBE.

a b c (Å): 3.981 3.981 8.000
angles (deg): 90.00 90.00 120.00
Fractional positions:
Gd  0.000  0.000  0.243
Gd  0.000  0.000  0.757
Si  0.333  0.667  0.500
Si  0.667  0.333  0.000
Si  0.667  0.333  0.500

Values from the calculation:
The value obtained for the energy with MP2020 corrections is -9.30 eV/atom. Its electronic total energy is -9.343 eV/atom. As for the symmetry: P-6m2 (187). For the energy of formation, the calculation gives -0.41 eV per atom.

=====

[3]
Crystalline GdZnSi at its relaxed geometry. Source: the Materials Project database, functional PBE.

a b c (Å): 4.135 4.135 4.106
angles (deg): 90.00 90.00 120.00
Fractional positions:
Gd  0.000  0.000  0.000
Zn  0.667  0.333  0.500
Si  0.333  0.667  0.500

Values from the calculation:
The value obtained for the energy with MP2020 corrections is -7.53 eV/atom. Its electronic total energy is -7.549 eV/atom. As for the symmetry: P-6m2 (187). For the energy of formation, the calculation gives -0.61 eV per atom.

=====

[4]
Crystalline Sm3Gd at its relaxed geometry. Source: the Materials Project database, functional PBE.

a b c (Å): 7.274 7.274 5.884
angles (deg): 90.00 90.00 120.00
Fractional positions:
Sm  0.169  0.339  0.250
Sm  0.169  0.831  0.250
Sm  0.339  0.169  0.750
Sm  0.661  0.831  0.250
Sm  0.831  0.169  0.750
Sm  0.831  0.661  0.750
Gd  0.333  0.667  0.750
Gd  0.667  0.333  0.250

Values from the calculation:
Its electronic total energy is -7.039 eV/atom. As for the symmetry: P6_3/mmc (194). For the energy of formation, the calculation gives 0.02 eV per atom.

=====

[5]
Crystalline SmGd3 at its relaxed geometry. Source: the Materials Project database, functional PBE.

a b c (Å): 7.317 7.317 5.841
angles (deg): 90.00 90.00 120.00
Fractional positions:
Sm  0.333  0.667  0.250
Sm  0.667  0.333  0.750
Gd  0.166  0.333  0.750
Gd  0.166  0.834  0.750
Gd  0.333  0.166  0.250
Gd  0.667  0.834  0.750
Gd  0.834  0.166  0.250
Gd  0.834  0.667  0.250

Values from the calculation:
Its electronic total energy is -11.734 eV/atom. As for the symmetry: P6_3/mmc (194). For the energy of formation, the calculation gives 0.00 eV per atom. As for the relative energy among the computed polymorphs: 0 meV per atom.

=====

[6]
=====

The Jade Plant's thick, succulent leaves resemble tiny jade coins, hence its association with wealth and prosperity. Originating in South Africa, this plant is also known as the ‘Money Plant’ or ‘Dollar Plant.’ Besides, its ability to thrive in various conditions is seen as a reflection of its capacity to grow financial stability.

Basil (Ocimum basilicum)

Revered in Hindu traditions as a sacred herb, Basil is believed to possess strong positive vibrations. Not only does it add flavour to culinary endeavours, but it is also considered a symbol of protection and prosperity. Keeping a pot of Basil at home is proven to invite good fortune and ward off negative energies.

Mint (Mentha)

Known for its rapid growth and aromatic leaves, Mint’s abilities go beyond being just a culinary delight. It is said to stimulate financial growth and attract wealth. Placing a pot of Mint near entrances or windows is said to ensure that wealth keeps flowing into your life.

While the magical abilities of these plants to attract good fortune and money may be steeped in belief and symbolism, there's no denying the positive impact they can have on our surroundings. So, whether you choose to place them in your living spaces for their energy or simply for their beauty, these plants will bless you with well-being, happiness and prosperity.